Material =
........
Starting from a GGA+U-relaxed structure, the X-ray diffraction stick pattern of NdUCr2O8 was calculated for Cu Kα X-rays.

The 12 most intense peaks (2θ from 10° to 90°), in order of rising 2θ:
- 18.4 deg, 4.823 Å, intensity 1000, (1 1 0)
- 21.3 deg, 4.174 Å, intensity 290, (1 1 -1)
- 24.6 deg, 3.623 Å, intensity 921, (2 0 0)
- 27.6 deg, 3.232 Å, intensity 697, (0 2 0)
- 29.8 deg, 2.998 Å, intensity 925, (1 1 -2)
- 32.6 deg, 2.747 Å, intensity 673, (1 1 2)
- 37.3 deg, 2.412 Å, intensity 341, (2 2 0)
- 37.6 deg, 2.393 Å, intensity 400, (0 2 2)
- 39.8 deg, 2.263 Å, intensity 276, (3 1 0)
- 44.6 deg, 2.031 Å, intensity 270, (3 1 -2)
- 50.2 deg, 1.817 Å, intensity 270, (1 3 -2)
- 50.5 deg, 1.808 Å, intensity 297, (3 1 2)

Cell: 7.315 6.463 7.188 Å, 90.00 97.86 90.00°
Space group C2/m (No. 12)
One atom of each set of equivalent atoms:
Nd: 0.000 0.000 0.000 (multiplicity 2)
U: 0.000 0.000 0.500 (multiplicity 2)
Cr: 0.041 0.500 0.210 (multiplicity 4)
O: 0.006 0.214 0.266 (multiplicity 8)
O: 0.168 0.500 0.002 (multiplicity 4)
O: 0.231 0.500 0.441 (multiplicity 4)

=====

Structure and simulated powder X-ray diffraction pattern of Nd3Mg3Sc2 (a structure optimized by DFT (GGA-PBE); Cu Kα (λ = 1.5418 Å)).
Neutral-atom scattering factors, no anomalous dispersion.

The 10 most intense peaks (5 to 70 degrees two-theta), by angle:
two_theta	d/Å	I/Imax
20.2	4.400	40
24.4	3.645	26
25.9	3.441	22
32.4	2.761	26
32.6	2.744	27
33.4	2.680	100
41.2	2.192	13
46.7	1.946	18
58.5	1.578	18
58.7	1.572	19

Cell and atoms:
```
data_Nd3Mg3Sc2
_chemical_formula_sum 'Nd6 Mg6 Sc4'
_symmetry_space_group_name_H-M 'I m m m'
_symmetry_Int_Tables_number 71
_symmetry_space_group_name_Hall '-I 2 2'
_cell_length_a 3.6954
_cell_length_b 5.4885
_cell_length_c 22.0848
_cell_angle_alpha 90.00
_cell_angle_beta 90.00
_cell_angle_gamma 90.00
loop_
_atom_site_label
_atom_site_type_symbol
_atom_site_fract_x
_atom_site_fract_y
_atom_site_fract_z
_atom_site_occupancy
Nd1 Nd 0.0000 0.0000 0.0000 1
Nd2 Nd 0.0000 0.5000 0.1298 1
Mg1 Mg 0.0000 0.0000 0.5000 1
Mg2 Mg 0.0000 0.5000 0.3743 1
Sc1 Sc 0.0000 0.0000 0.2383 1
```
........
Assignment =
Copy all of the block earlier on with every line break kept.
Done =
Starting from a GGA+U-relaxed structure, the X-ray diffraction stick pattern of NdUCr2O8 was calculated for Cu Kα X-rays.

The 12 most intense peaks (2θ from 10° to 90°), in order of rising 2θ:
- 18.4 deg, 4.823 Å, intensity 1000, (1 1 0)
- 21.3 deg, 4.174 Å, intensity 290, (1 1 -1)
- 24.6 deg, 3.623 Å, intensity 921, (2 0 0)
- 27.6 deg, 3.232 Å, intensity 697, (0 2 0)
- 29.8 deg, 2.998 Å, intensity 925, (1 1 -2)
- 32.6 deg, 2.747 Å, intensity 673, (1 1 2)
- 37.3 deg, 2.412 Å, intensity 341, (2 2 0)
- 37.6 deg, 2.393 Å, intensity 400, (0 2 2)
- 39.8 deg, 2.263 Å, intensity 276, (3 1 0)
- 44.6 deg, 2.031 Å, intensity 270, (3 1 -2)
- 50.2 deg, 1.817 Å, intensity 270, (1 3 -2)
- 50.5 deg, 1.808 Å, intensity 297, (3 1 2)

Cell: 7.315 6.463 7.188 Å, 90.00 97.86 90.00°
Space group C2/m (No. 12)
One atom of each set of equivalent atoms:
Nd: 0.000 0.000 0.000 (multiplicity 2)
U: 0.000 0.000 0.500 (multiplicity 2)
Cr: 0.041 0.500 0.210 (multiplicity 4)
O: 0.006 0.214 0.266 (multiplicity 8)
O: 0.168 0.500 0.002 (multiplicity 4)
O: 0.231 0.500 0.441 (multiplicity 4)

=====

Structure and simulated powder X-ray diffraction pattern of Nd3Mg3Sc2 (a structure optimized by DFT (GGA-PBE); Cu Kα (λ = 1.5418 Å)).
Neutral-atom scattering factors, no anomalous dispersion.

The 10 most intense peaks (5 to 70 degrees two-theta), by angle:
two_theta	d/Å	I/Imax
20.2	4.400	40
24.4	3.645	26
25.9	3.441	22
32.4	2.761	26
32.6	2.744	27
33.4	2.680	100
41.2	2.192	13
46.7	1.946	18
58.5	1.578	18
58.7	1.572	19

Cell and atoms:
```
data_Nd3Mg3Sc2
_chemical_formula_sum 'Nd6 Mg6 Sc4'
_symmetry_space_group_name_H-M 'I m m m'
_symmetry_Int_Tables_number 71
_symmetry_space_group_name_Hall '-I 2 2'
_cell_length_a 3.6954
_cell_length_b 5.4885
_cell_length_c 22.0848
_cell_angle_alpha 90.00
_cell_angle_beta 90.00
_cell_angle_gamma 90.00
loop_
_atom_site_label
_atom_site_type_symbol
_atom_site_fract_x
_atom_site_fract_y
_atom_site_fract_z
_atom_site_occupancy
Nd1 Nd 0.0000 0.0000 0.0000 1
Nd2 Nd 0.0000 0.5000 0.1298 1
Mg1 Mg 0.0000 0.0000 0.5000 1
Mg2 Mg 0.0000 0.5000 0.3743 1
Sc1 Sc 0.0000 0.0000 0.2383 1
```